Quote only the last part of the lines underneath, starting with the line that has "-0.556".

## i
Formula: C4H7ClS
Source: the OMol25 dataset
Level of theory: ωB97M-V/def2-TZVPD

Computed properties:
molecular weight: 122.62 g/mol
SMILES: C/C(Cl)=C/CS
net charge: 0
HOMO-LUMO gap: 9.9 eV

Atoms and positions in Å:
S -1.329 -0.065 2.369
C 0.503 0.286 -0.792
H 1.008 0.554 1.792
H 0.372 0.710 -2.897
Cl 2.227 0.818 -0.838
H -1.155 -0.572 -0.058
H 0.691 -1.276 1.983
C -0.210 0.095 -2.234
H -1.126 0.637 3.557
C -0.098 -0.330 0.183
C 0.296 -0.321 1.712
H 0.032 -0.912 -2.668
H -1.211 0.377 -2.110

Atom charges from the Mulliken analysis, given in e for atoms 1 to 8: -0.291 0.382 0.359 0.363 -0.213 0.227 0.276 -1.135

---

## ii
Formula: C4H7ClS
Source: the OMol25 dataset
Level of theory: ωB97M-V/def2-TZVPD

Computed properties:
molecular weight: 122.62 g/mol
SMILES: ClCC[C@H]1CS1
net charge: 0
HOMO-LUMO gap: 9.5 eV

Atoms and positions in Å:
C 1.737 -0.352 0.604
H -0.938 0.607 -1.572
H -1.281 -0.007 1.459
Cl -2.234 -1.423 -0.114
H 1.322 -0.199 1.607
H 2.825 -0.145 0.517
C -1.559 0.127 0.401
H -2.437 0.718 0.465
H -0.250 1.706 -0.432
S 1.104 -1.785 -0.229
H 1.332 0.227 -1.563
C -0.493 0.609 -0.556
C 0.870 -0.082 -0.587

Atom charges from the Mulliken analysis, given in e for atoms 1 to 8: -0.775 0.317 0.267 -0.188 0.246 0.292 -0.567 0.371

---

ii wins, 78.9 kJ/mol ahead of the next structure.

---

## i
Formula: C4H7ClS
Source: the OMol25 dataset
Level of theory: ωB97M-V/def2-TZVPD

Computed properties:
molecular weight: 122.62 g/mol
SMILES: CSC/C=C\Cl
net charge: 0
HOMO-LUMO gap: 9.6 eV

Atoms and positions in Å:
H -1.066 -0.947 0.298
H -0.659 1.993 -0.643
C 1.034 -1.329 -1.308
H -2.234 0.025 -0.682
C 0.137 1.412 1.063
H 1.589 -1.931 -2.104
S -0.469 -0.650 -1.998
C -0.623 1.134 0.023
H 0.461 2.472 1.268
H 0.659 -2.072 -0.534
C -1.185 -0.136 -0.435
H 1.780 -0.672 -0.874
Cl 0.635 0.297 2.305

Atom charges from the Mulliken analysis, given in e for atoms 1 to 8: 0.376 0.256 -0.747 0.288 -0.313 0.302 -0.088 -0.161

---

## ii
Formula: C4H7ClS
Source: the OMol25 dataset
Level of theory: ωB97M-V/def2-TZVPD

Computed properties:
molecular weight: 122.62 g/mol
SMILES: C=C(Cl)[C@@H](C)S
net charge: 0
HOMO-LUMO gap: 9.5 eV

Atoms and positions in Å:
H -3.098 0.524 -1.021
C 0.758 -0.148 1.340
Cl -1.234 -1.955 -0.082
C -1.121 -0.187 -0.451
H 2.705 -0.146 -0.964
H 0.885 1.192 -0.482
H 1.598 0.547 1.687
H -1.559 1.594 -1.533
C 0.374 0.204 -0.193
S 1.465 -1.071 -1.106
H 1.291 -1.179 1.429
C -2.008 0.615 -0.901
H -0.055 0.009 2.278

Atom charges from the Mulliken analysis, given in e for atoms 1 to 8: 0.322 -0.901 -0.168 0.089 0.140 0.413 0.326 0.159

---

i wins, 218.5 kJ/mol ahead of the next structure.

---

## i
Formula: C28H46BrHgN3P2
Source: the OMol25 dataset
Level of theory: ωB97M-V/def2-TZVPD

Computed properties:
molecular weight: 767.14 g/mol
net charge: +2
HOMO-LUMO gap (spin up / spin down): 5.8 / 5.9 eV

Atoms and positions in Å:
H 6.950 0.450 -0.563
C -4.804 0.826 2.512
H -4.386 -0.516 5.644
H -2.641 -1.955 -2.936
C 5.138 -0.685 -1.046
C -3.977 2.810 -0.591
C 0.630 -2.841 0.301
N 0.084 0.086 1.360
H 2.501 -3.892 0.386
C -4.501 2.005 1.705
H -2.276 -0.511 0.219
C -3.977 2.382 -1.971
C -4.632 -0.469 4.579
H -2.131 -1.850 2.182
H 4.106 -1.218 -3.539
H 7.047 -0.454 -2.090
C -2.110 -1.588 0.017
C 0.500 -1.020 4.613
H 0.617 -2.432 1.329
H 2.023 -3.442 -1.264
H -2.852 4.147 0.800
H -0.264 2.110 4.349
Hg -0.303 0.665 -1.689
H -5.668 -0.368 0.884
C 6.649 -0.469 -1.071
C 4.996 3.361 -1.906
C -0.008 0.083 2.534
C -4.375 0.714 3.866
H 2.677 -2.185 -0.146
C 4.243 2.292 -1.133
H 0.118 -2.002 4.306
H 4.336 3.987 -2.530
C -1.677 2.239 -1.687
H 4.913 -1.645 -1.542
H -3.410 -2.701 1.301
H 5.777 2.922 -2.543
H -2.606 2.218 -3.666
C -2.828 3.514 -0.090
C -0.665 -2.676 -2.304
C 2.053 -3.089 -0.220
H 6.084 0.180 -4.296
H -4.836 2.019 -2.535
C 4.068 -0.104 -3.547
H 4.741 0.286 -5.472
H -1.767 -3.364 1.293
P -0.422 -1.727 -0.754
H -3.860 1.541 4.345
H -0.661 3.614 -0.323
C -5.376 -0.335 1.931
H 1.590 -1.020 4.487
C -0.751 1.148 4.568

C -0.493 0.609 -0.556
C 0.870 -0.082 -0.587

Atom charges from the Mulliken analysis, given in e for atoms 1 to 8: -0.775 0.317 0.267 -0.188 0.246 0.292 -0.567 0.371

---

ii wins, 78.9 kJ/mol ahead of the next structure.

---

## i
Formula: C4H7ClS
Source: the OMol25 dataset
Level of theory: ωB97M-V/def2-TZVPD

Computed properties:
molecular weight: 122.62 g/mol
SMILES: CSC/C=C\Cl
net charge: 0
HOMO-LUMO gap: 9.6 eV

Atoms and positions in Å:
H -1.066 -0.947 0.298
H -0.659 1.993 -0.643
C 1.034 -1.329 -1.308
H -2.234 0.025 -0.682
C 0.137 1.412 1.063
H 1.589 -1.931 -2.104
S -0.469 -0.650 -1.998
C -0.623 1.134 0.023
H 0.461 2.472 1.268
H 0.659 -2.072 -0.534
C -1.185 -0.136 -0.435
H 1.780 -0.672 -0.874
Cl 0.635 0.297 2.305

Atom charges from the Mulliken analysis, given in e for atoms 1 to 8: 0.376 0.256 -0.747 0.288 -0.313 0.302 -0.088 -0.161

---

## ii
Formula: C4H7ClS
Source: the OMol25 dataset
Level of theory: ωB97M-V/def2-TZVPD

Computed properties:
molecular weight: 122.62 g/mol
SMILES: C=C(Cl)[C@@H](C)S
net charge: 0
HOMO-LUMO gap: 9.5 eV

Atoms and positions in Å:
H -3.098 0.524 -1.021
C 0.758 -0.148 1.340
Cl -1.234 -1.955 -0.082
C -1.121 -0.187 -0.451
H 2.705 -0.146 -0.964
H 0.885 1.192 -0.482
H 1.598 0.547 1.687
H -1.559 1.594 -1.533
C 0.374 0.204 -0.193
S 1.465 -1.071 -1.106
H 1.291 -1.179 1.429
C -2.008 0.615 -0.901
H -0.055 0.009 2.278

Atom charges from the Mulliken analysis, given in e for atoms 1 to 8: 0.322 -0.901 -0.168 0.089 0.140 0.413 0.326 0.159

---

i wins, 218.5 kJ/mol ahead of the next structure.

---

## i
Formula: C28H46BrHgN3P2
Source: the OMol25 dataset
Level of theory: ωB97M-V/def2-TZVPD

Computed properties:
molecular weight: 767.14 g/mol
net charge: +2
HOMO-LUMO gap (spin up / spin down): 5.8 / 5.9 eV

Atoms and positions in Å:
H 6.950 0.450 -0.563
C -4.804 0.826 2.512
H -4.386 -0.516 5.644
H -2.641 -1.955 -2.936
C 5.138 -0.685 -1.046
C -3.977 2.810 -0.591
C 0.630 -2.841 0.301
N 0.084 0.086 1.360
H 2.501 -3.892 0.386
C -4.501 2.005 1.705
H -2.276 -0.511 0.219
C -3.977 2.382 -1.971
C -4.632 -0.469 4.579
H -2.131 -1.850 2.182
H 4.106 -1.218 -3.539
H 7.047 -0.454 -2.090
C -2.110 -1.588 0.017
C 0.500 -1.020 4.613
H 0.617 -2.432 1.329
H 2.023 -3.442 -1.264
H -2.852 4.147 0.800
H -0.264 2.110 4.349
Hg -0.303 0.665 -1.689
H -5.668 -0.368 0.884
C 6.649 -0.469 -1.071
C 4.996 3.361 -1.906
C -0.008 0.083 2.534
C -4.375 0.714 3.866
H 2.677 -2.185 -0.146
C 4.243 2.292 -1.133
H 0.118 -2.002 4.306
H 4.336 3.987 -2.530
C -1.677 2.239 -1.687
H 4.913 -1.645 -1.542
H -3.410 -2.701 1.301
H 5.777 2.922 -2.543
H -2.606 2.218 -3.666
C -2.828 3.514 -0.090
C -0.665 -2.676 -2.304
C 2.053 -3.089 -0.220
H 6.084 0.180 -4.296
H -4.836 2.019 -2.535
C 4.068 -0.104 -3.547
H 4.741 0.286 -5.472
H -1.767 -3.364 1.293
P -0.422 -1.727 -0.754
H -3.860 1.541 4.345
H -0.661 3.614 -0.323
C -5.376 -0.335 1.931
H 1.590 -1.020 4.487
C -0.751 1.148 4.568